(Work order)
What is needed: transcribe every line underneath that contains the word "Alexandria".

(Contents)
This entry pairs a crystal structure of Ag2Pd5Au5 with its computed powder X-ray diffraction pattern. Radiation: a wavelength of 1.5418 Å. Structure: the PBE geometry in Alexandria.

Crystal structure
Cell lengths 12.2440, 4.0376, 9.1723 Å; angles 90.00, 117.04, 90.00 degrees
Space group C2/m (No. 12)
Inequivalent atoms, fractional coordinates:
Ag (0.0826, 0.0000, 0.2523) x4
Pd (0.0000, 0.5000, 0.0000) x2
Pd (0.0844, 0.5000, 0.7488) x4
Pd (0.1665, 0.5000, 0.4995) x4
Au (0.0000, 0.0000, 0.5000) x2
Au (0.1648, 0.0000, 0.9988) x4
Au (0.2502, 0.0000, 0.7461) x4

Peak list (10 most intense, 2θ = 5–70°, most intense first)
| 2theta | Rel. int. | (hkl) |
| --- | --- | --- |
| 38.2 | 100 | 3 1 -3 |
| 38.5 | 98 | 3 1 1 |
| 44.4 | 65 | 0 0 4 |
| 65.0 | 52 | 6 0 2 |
| 44.9 | 32 | 0 2 0 |
| 64.2 | 11 | 6 0 -6 |
| 23.5 | 4 | 1 1 0 |
| 14.9 | 4 | 2 0 -1 |
| 16.3 | 3 | 2 0 0 |
| 29.5 | 3 | 4 0 -1 |


This entry pairs a crystal structure of NdPu2Sn9 with its computed powder X-ray diffraction pattern. Radiation: a wavelength of 1.5418 Å. Structure: the PBE geometry in Alexandria.

Crystal structure
Cell lengths 6.6185, 4.7295, 10.4804 Å; angles 90.00, 108.29, 90.00 degrees
Space group P2/m (No. 10)
Inequivalent atoms, fractional coordinates:
Nd (0.0000, 0.0000, 0.0000) x1
Pu (0.3345, 0.0000, 0.6687) x2
Sn (0.0000, 0.5000, 0.5000) x1
Sn (0.1689, 0.0000, 0.3381) x2
Sn (0.1687, 0.5000, 0.8303) x2
Sn (0.3379, 0.5000, 0.1698) x2
Sn (0.5000, 0.0000, 0.0000) x1
Sn (0.5000, 0.5000, 0.5000) x1

Peak list (10 most intense, 2θ = 5–70°, most intense first)
| 2theta | Rel. int. | (hkl) |
| --- | --- | --- |
| 33.0 | 100 | 2 1 -1 |
| 38.4 | 33 | 2 0 2 |
| 55.2 | 24 | 2 2 2 |
| 38.1 | 17 | 0 2 0 |
| 65.6 | 15 | 2 3 -1 |
| 66.0 | 14 | 4 1 1 |
| 66.1 | 14 | 4 1 -5 |
| 69.3 | 6 | 4 2 -2 |
| 69.2 | 6 | 0 2 6 |
| 55.5 | 6 | 4 0 -2 |


This entry pairs a crystal structure of Sm12HoEr7 with its computed powder X-ray diffraction pattern. Radiation: a wavelength of 1.5418 Å. Structure: the PBE geometry in Alexandria.

Crystal structure
Cell lengths 19.5756, 19.5756, 6.1488 Å; angles 90.00, 90.00, 120.00 degrees
Space group R-3m (No. 166, hexagonal axes)
Inequivalent atoms, fractional coordinates:
Sm (0.0000, 0.4137, 0.0000) x18
Sm (0.0980, 0.5490, 0.4628) x18
Ho (0.0000, 0.0000, 0.5000) x3
Er (0.0000, 0.0000, 0.0000) x3
Er (0.0813, 0.1625, 0.2933) x18

Peak list (10 most intense, 2θ = 5–70°, most intense first)
| 2theta | Rel. int. | (hkl) |
| --- | --- | --- |
| 30.1 | 100 | 0 5 1 |
| 32.8 | 47 | 5 1 1 |
| 33.0 | 47 | 5 2 0 |
| 27.3 | 42 | 3 3 0 |
| 30.9 | 41 | 2 0 2 |
| 39.6 | 40 | 5 0 2 |
| 40.0 | 27 | 7 0 1 |
| 46.4 | 26 | 5 5 0 |
| 29.5 | 25 | 0 1 2 |
| 34.9 | 25 | 3 1 2 |


This entry pairs a crystal structure of TiCuAg2Sn with its computed powder X-ray diffraction pattern. Radiation: a wavelength of 1.5418 Å. Structure: the PBE geometry in Alexandria.

Crystal structure
Cell lengths 5.0922, 5.0922, 4.7010 Å; angles 90.00, 90.00, 90.00 degrees
Space group P4/mmm (No. 123)
Inequivalent atoms, fractional coordinates:
Ti (0.0000, 0.0000, 0.0000) x1
Cu (0.0000, 0.0000, 0.5000) x1
Ag (0.0000, 0.5000, 0.0000) x2
Sn (0.5000, 0.5000, 0.5000) x1

Peak list (10 most intense, 2θ = 5–70°, most intense first)
| 2theta | Rel. int. | (hkl) |
| --- | --- | --- |
| 31.3 | 100 | 1 1 1 |
| 35.2 | 57 | 2 0 0 |
| 53.0 | 34 | 2 0 2 |
| 60.8 | 29 | 3 1 1 |
| 38.3 | 23 | 0 0 2 |
| 50.7 | 20 | 2 2 0 |
| 65.3 | 18 | 2 2 2 |
| 25.8 | 12 | 1 0 1 |
| 64.9 | 12 | 1 1 3 |
| 44.2 | 6 | 2 1 1 |


This entry pairs a crystal structure of MnW2Se4S2 with its computed powder X-ray diffraction pattern. Radiation: a wavelength of 1.5418 Å. Structure: the PBE geometry in Alexandria.

Crystal structure
Cell lengths 3.2704, 3.2704, 21.3378 Å; angles 90.00, 90.00, 120.00 degrees
Space group P3m1 (No. 156)
Inequivalent atoms, fractional coordinates:
Mn (0.0000, 0.0000, 0.0000) x1
W (0.0000, 0.0000, 0.6573) x1
W (0.6667, 0.3333, 0.3156) x1
Se (0.0000, 0.0000, 0.2358) x1
Se (0.0000, 0.0000, 0.3954) x1

(Outcome)
This entry pairs a crystal structure of Ag2Pd5Au5 with its computed powder X-ray diffraction pattern. Radiation: a wavelength of 1.5418 Å. Structure: the PBE geometry in Alexandria.
This entry pairs a crystal structure of NdPu2Sn9 with its computed powder X-ray diffraction pattern. Radiation: a wavelength of 1.5418 Å. Structure: the PBE geometry in Alexandria.
This entry pairs a crystal structure of Sm12HoEr7 with its computed powder X-ray diffraction pattern. Radiation: a wavelength of 1.5418 Å. Structure: the PBE geometry in Alexandria.
This entry pairs a crystal structure of TiCuAg2Sn with its computed powder X-ray diffraction pattern. Radiation: a wavelength of 1.5418 Å. Structure: the PBE geometry in Alexandria.
This entry pairs a crystal structure of MnW2Se4S2 with its computed powder X-ray diffraction pattern. Radiation: a wavelength of 1.5418 Å. Structure: the PBE geometry in Alexandria.